Contents >
/*
[1]
Computed, not measured: crystalline Cr3CdP at its relaxed geometry at the GGA-PBE level of DFT.

abc: 4.380 4.380 4.380
angles: 90.00 90.00 90.00
Atoms (fractional coordinates):
Cr 0.000 0.500 0.000
Cr 0.000 0.000 0.500
Cr 0.500 0.000 0.000
P 0.000 0.000 0.000
Cd 0.500 0.500 0.500

Calculated values
Formation energy ... 37.4 kJ per mole of atoms
Offset from the most stable computed form ... 0.0 meV per atom
Volume ... 16.8 Å³ per atom
Total magnetization ... 7.36 μB/f.u.
Symmetry ... Pm-3m (221)
N(E_F) ... 3.5 states/eV/f.u.

---

[2]
Computed, not measured: crystalline Y2AgSeS3 at its relaxed geometry at the GGA-PBE level of DFT.

abc: 8.013 8.013 8.013
angles: 60.18 60.18 60.18
Atoms (fractional coordinates):
Y 0.000 0.000 0.000
Y 0.500 0.000 0.000
Y 0.000 0.500 0.000
Y 0.000 0.000 0.500
Ag 0.388 0.388 0.388
Ag 0.612 0.612 0.612
Se 0.748 0.748 0.748
Se 0.252 0.252 0.252
S 0.223 0.758 0.758
S 0.758 0.223 0.758
S 0.758 0.758 0.223
S 0.777 0.242 0.242
S 0.242 0.777 0.242
S 0.242 0.242 0.777

Calculated values
Volume ... 26.1 Å³ per atom
Total magnetization ... 0.00 μB/f.u.
ΔE_f (raw) ... -1373 meV/atom
Symmetry ... R-3m (166)
N(E_F) ... 4.1 states/eV/f.u.

---

[3]
Computed, not measured: crystalline Pa6FeCl15 at its relaxed geometry at the GGA-PBE level of DFT.

abc: 9.551 9.551 9.551
angles: 109.47 109.47 109.47
Atoms (fractional coordinates):
Pa 0.760 0.000 0.760
Pa 0.760 0.760 0.000
Pa 0.000 0.240 0.240
Pa 0.240 0.000 0.240
Pa 0.240 0.240 0.000
Pa 0.000 0.760 0.760
Fe 0.000 0.000 0.000
Cl 0.752 0.000 0.248
Cl 0.752 0.248 0.000
Cl 0.504 0.752 0.752
Cl 0.248 0.496 0.248
Cl 0.248 0.248 0.496
Cl 0.496 0.248 0.248
Cl 0.752 0.504 0.752
Cl 0.248 0.752 0.000
Cl 0.000 0.752 0.248
Cl 0.248 0.000 0.752
Cl 0.752 0.752 0.504
Cl 0.000 0.248 0.752
Cl 0.500 0.000 0.500
Cl 0.500 0.500 0.000
Cl 0.000 0.500 0.500

Calculated values
Volume ... 30.5 Å³ per atom
Total magnetization ... 5.34 μB/f.u.
ΔE_f (raw) ... -1600 meV/atom
Symmetry ... Im-3m (229)
N(E_F) ... 30.4 states/eV/f.u.

---

[4]
Computed, not measured: crystalline Ag2RuAu at its relaxed geometry at the GGA-PBE level of DFT.

abc: 5.081 5.081 5.060
angles: 81.65 81.65 31.29
Atoms (fractional coordinates):
Ag 0.004 0.004 0.994
Ag 0.496 0.496 0.506
Au 0.250 0.250 0.250
Ru 0.750 0.750 0.750

Calculated values
Formation energy ... 32.9 kJ per mole of atoms
Offset from the most stable computed form ... 43.6 meV per atom
Volume ... 16.8 Å³ per atom
Total magnetization ... 0.07 μB/f.u.
Symmetry ... C2/m (12)
N(E_F) ... 3.1 states/eV/f.u.

---

[5]
Computed, not measured: crystalline TbTmH at its relaxed geometry at the GGA-PBE level of DFT.

abc: 3.597 3.597 5.539
angles: 90.00 90.00 120.00
Atoms (fractional coordinates):
H 0.333 0.667 0.663
Tm 0.667 0.333 0.424
Tb 0.000 0.000 0.913

Calculated values
Offset from the most stable computed form ... 0.0 meV per atom
Volume ... 20.7 Å³ per atom
Total magnetization ... 0.00 μB/f.u.
Symmetry ... P3m1 (156)
N(E_F) ... 3.1 states/eV/f.u.

---

[6]
Computed, not measured: crystalline Ac2SiSn3Pt4 at its relaxed geometry at the GGA-PBE level of DFT.

abc: 4.679 4.679 10.450
angles: 90.00 90.00 90.00
Atoms (fractional coordinates):
Ac 0.500 0.000 0.252
Ac 0.000 0.500 0.748
Si 0.500 0.500 0.500
Sn 0.000 0.000 0.500
Sn 0.500 0.000 0.870
Sn 0.000 0.500 0.130
Pt 0.500 0.500 0.000
Pt 0.000 0.000 0.000
Pt 0.500 0.000 0.613
Pt 0.000 0.500 0.387

Calculated values
Volume ... 22.9 Å³ per atom
Total magnetization ... 0.00 μB/f.u.
ΔE_f (raw) ... -890 meV/atom
Symmetry ... P-4m2 (115)
N(E_F) ... 5.8 states/eV/f.u.

---

[7]
Computed, not measured: crystalline KAcSeI at its relaxed geometry at the GGA-PBE level of DFT.

abc: 4.462 4.462 9.086
angles: 90.01 104.21 119.99
Atoms (fractional coordinates):
K 0.495 0.145 0.656
Ac 0.114 0.955 0.083
Se 0.312 0.554 0.881
I 0.957 0.377 0.349

Calculated values
Volume ... 37.6 Å³ per atom
Total magnetization ... 0.00 μB/f.u.
ΔE_f (raw) ... -1423 meV/atom
Symmetry ... R3m (160)
N(E_F) ... 2.7 states/eV/f.u.

---

[8]
*/
Work order >
Now restate the contents further up verbatim.
Result >
[1]
Computed, not measured: crystalline Cr3CdP at its relaxed geometry at the GGA-PBE level of DFT.

abc: 4.380 4.380 4.380
angles: 90.00 90.00 90.00
Atoms (fractional coordinates):
Cr 0.000 0.500 0.000
Cr 0.000 0.000 0.500
Cr 0.500 0.000 0.000
P 0.000 0.000 0.000
Cd 0.500 0.500 0.500

Calculated values
Formation energy ... 37.4 kJ per mole of atoms
Offset from the most stable computed form ... 0.0 meV per atom
Volume ... 16.8 Å³ per atom
Total magnetization ... 7.36 μB/f.u.
Symmetry ... Pm-3m (221)
N(E_F) ... 3.5 states/eV/f.u.

---

[2]
Computed, not measured: crystalline Y2AgSeS3 at its relaxed geometry at the GGA-PBE level of DFT.

abc: 8.013 8.013 8.013
angles: 60.18 60.18 60.18
Atoms (fractional coordinates):
Y 0.000 0.000 0.000
Y 0.500 0.000 0.000
Y 0.000 0.500 0.000
Y 0.000 0.000 0.500
Ag 0.388 0.388 0.388
Ag 0.612 0.612 0.612
Se 0.748 0.748 0.748
Se 0.252 0.252 0.252
S 0.223 0.758 0.758
S 0.758 0.223 0.758
S 0.758 0.758 0.223
S 0.777 0.242 0.242
S 0.242 0.777 0.242
S 0.242 0.242 0.777

Calculated values
Volume ... 26.1 Å³ per atom
Total magnetization ... 0.00 μB/f.u.
ΔE_f (raw) ... -1373 meV/atom
Symmetry ... R-3m (166)
N(E_F) ... 4.1 states/eV/f.u.

---

[3]
Computed, not measured: crystalline Pa6FeCl15 at its relaxed geometry at the GGA-PBE level of DFT.

abc: 9.551 9.551 9.551
angles: 109.47 109.47 109.47
Atoms (fractional coordinates):
Pa 0.760 0.000 0.760
Pa 0.760 0.760 0.000
Pa 0.000 0.240 0.240
Pa 0.240 0.000 0.240
Pa 0.240 0.240 0.000
Pa 0.000 0.760 0.760
Fe 0.000 0.000 0.000
Cl 0.752 0.000 0.248
Cl 0.752 0.248 0.000
Cl 0.504 0.752 0.752
Cl 0.248 0.496 0.248
Cl 0.248 0.248 0.496
Cl 0.496 0.248 0.248
Cl 0.752 0.504 0.752
Cl 0.248 0.752 0.000
Cl 0.000 0.752 0.248
Cl 0.248 0.000 0.752
Cl 0.752 0.752 0.504
Cl 0.000 0.248 0.752
Cl 0.500 0.000 0.500
Cl 0.500 0.500 0.000
Cl 0.000 0.500 0.500

Calculated values
Volume ... 30.5 Å³ per atom
Total magnetization ... 5.34 μB/f.u.
ΔE_f (raw) ... -1600 meV/atom
Symmetry ... Im-3m (229)
N(E_F) ... 30.4 states/eV/f.u.

---

[4]
Computed, not measured: crystalline Ag2RuAu at its relaxed geometry at the GGA-PBE level of DFT.

abc: 5.081 5.081 5.060
angles: 81.65 81.65 31.29
Atoms (fractional coordinates):
Ag 0.004 0.004 0.994
Ag 0.496 0.496 0.506
Au 0.250 0.250 0.250
Ru 0.750 0.750 0.750

Calculated values
Formation energy ... 32.9 kJ per mole of atoms
Offset from the most stable computed form ... 43.6 meV per atom
Volume ... 16.8 Å³ per atom
Total magnetization ... 0.07 μB/f.u.
Symmetry ... C2/m (12)
N(E_F) ... 3.1 states/eV/f.u.

---

[5]
Computed, not measured: crystalline TbTmH at its relaxed geometry at the GGA-PBE level of DFT.

abc: 3.597 3.597 5.539
angles: 90.00 90.00 120.00
Atoms (fractional coordinates):
H 0.333 0.667 0.663
Tm 0.667 0.333 0.424
Tb 0.000 0.000 0.913

Calculated values
Offset from the most stable computed form ... 0.0 meV per atom
Volume ... 20.7 Å³ per atom
Total magnetization ... 0.00 μB/f.u.
Symmetry ... P3m1 (156)
N(E_F) ... 3.1 states/eV/f.u.

---

[6]
Computed, not measured: crystalline Ac2SiSn3Pt4 at its relaxed geometry at the GGA-PBE level of DFT.

abc: 4.679 4.679 10.450
angles: 90.00 90.00 90.00
Atoms (fractional coordinates):
Ac 0.500 0.000 0.252
Ac 0.000 0.500 0.748
Si 0.500 0.500 0.500
Sn 0.000 0.000 0.500
Sn 0.500 0.000 0.870
Sn 0.000 0.500 0.130
Pt 0.500 0.500 0.000
Pt 0.000 0.000 0.000
Pt 0.500 0.000 0.613
Pt 0.000 0.500 0.387

Calculated values
Volume ... 22.9 Å³ per atom
Total magnetization ... 0.00 μB/f.u.
ΔE_f (raw) ... -890 meV/atom
Symmetry ... P-4m2 (115)
N(E_F) ... 5.8 states/eV/f.u.

---

[7]
Computed, not measured: crystalline KAcSeI at its relaxed geometry at the GGA-PBE level of DFT.

abc: 4.462 4.462 9.086
angles: 90.01 104.21 119.99
Atoms (fractional coordinates):
K 0.495 0.145 0.656
Ac 0.114 0.955 0.083
Se 0.312 0.554 0.881
I 0.957 0.377 0.349

Calculated values
Volume ... 37.6 Å³ per atom
Total magnetization ... 0.00 μB/f.u.
ΔE_f (raw) ... -1423 meV/atom
Symmetry ... R3m (160)
N(E_F) ... 2.7 states/eV/f.u.

---

[8]